Well, I guess I decided that this year we would do a Christmas letter on our blog. We have been so busy with kids stuff and Christmas, and don't forget expecting another baby that this is all there is! So I just wanted to write a letter and let you all know how our family is doing! I guess I will start from the top and go down!
**What comes next are materials data, not part of the piece:**
~~~
Record 1
{"formula": "PaGaNi2", "functional": "r2SCAN", "state": "relaxed", "space_group": "No. 225", "e_form_mev_per_atom": -367, "lattice": [[-0.358, 1.029, 4.335], [1.449, 3.959, 1.484], [-2.935, 3.099, 1.326]], "species": ["Pa", "Ga", "Ni", "Ni"], "frac_coords": [[0.500, 0.500, 0.500], [0.000, 0.000, 0.000], [0.750, 0.750, 0.750], [0.250, 0.250, 0.250]]}

---

Record 2
{"formula": "Pr2Ga7Ni", "functional": "r2SCAN", "state": "relaxed", "space_group": "No. 99", "e_form_mev_per_atom": -606, "lattice": [[-1.477, 0.791, 3.942], [3.507, -1.800, 1.675], [4.761, 9.212, -0.066]], "species": ["Pr", "Pr", "Ga", "Ga", "Ga", "Ga", "Ga", "Ga", "Ga", "Ni"], "frac_coords": [[0.000, 0.000, 0.997], [0.500, 0.500, 0.482], [0.000, 0.500, 0.233], [0.500, 0.000, 0.755], [0.500, 0.000, 0.233], [0.000, 0.500, 0.755], [0.000, 0.000, 0.619], [0.000, 0.000, 0.382], [0.500, 0.500, 0.909], [0.500, 0.500, 0.134]]}

---

Record 3
{"formula": "PrGa2Ni", "functional": "r2SCAN", "state": "relaxed", "space_group": "No. 65", "e_form_mev_per_atom": -673, "lattice": [[-2.435, 3.353, 0.570], [-0.399, 0.417, -4.155], [-6.845, -5.351, 2.238]], "species": ["Pr", "Pr", "Ga", "Ga", "Ga", "Ga", "Ni", "Ni"], "frac_coords": [[0.500, 0.358, 0.716], [0.500, 0.642, 0.284], [0.000, 0.209, 0.419], [0.000, 0.791, 0.581], [0.500, 0.000, 0.000], [0.000, 0.500, 0.000], [0.000, 0.072, 0.144], [0.000, 0.928, 0.856]]}

---

Record 4
{"formula": "PuGaNi", "functional": "r2SCAN", "state": "relaxed", "space_group": "No. 6", "e_form_mev_per_atom": -529, "lattice": [[0.199, 3.729, 5.621], [-4.854, 1.023, -4.581], [-2.322, -2.682, 1.861]], "species": ["Pu", "Pu", "Pu", "Ga", "Ga", "Ga", "Ni", "Ni", "Ni"], "frac_coords": [[0.427, 0.001, 0.500], [0.999, 0.426, 0.500], [0.573, 0.573, 0.500], [0.767, 0.000, 0.000], [0.002, 0.767, 0.000], [0.234, 0.233, 0.000], [0.334, 0.668, 0.000], [0.668, 0.333, 0.000], [0.998, 0.999, 0.500]]}

---

Record 5
{"formula": "ScGa2Ni", "functional": "r2SCAN", "state": "relaxed", "space_group": "No. 63", "e_form_mev_per_atom": -681, "lattice": [[-3.677, 0.855, -1.364], [2.012, -4.225, -2.167], [-2.566, -3.609, 4.653]], "species": ["Sc", "Sc", "Ga", "Ga", "Ga", "Ga", "Ni", "Ni"], "frac_coords": [[0.075, 0.150, 0.250], [0.925, 0.850, 0.750], [0.362, 0.724, 0.449], [0.638, 0.276, 0.551], [0.638, 0.276, 0.949], [0.362, 0.724, 0.051], [0.793, 0.587, 0.250], [0.207, 0.413, 0.750]]}

---

Record 6
{"formula": "Sc2Ga8Ni", "functional": "r2SCAN", "state": "relaxed", "space_group": "No. 123", "e_form_mev_per_atom": -484, "lattice": [[4.113, 0.000, 0.000], [0.000, 4.113, 0.000], [0.000, 0.000, 10.597]], "species": ["Sc", "Sc", "Ga", "Ga", "Ga", "Ga", "Ga", "Ga", "Ga", "Ga", "Ni"], "frac_coords": [[0.000, 0.000, 0.311], [0.000, 0.000, 0.689], [0.000, 0.500, 0.124], [0.000, 0.500, 0.876], [0.500, 0.000, 0.124], [0.500, 0.000, 0.876], [0.000, 0.500, 0.500], [0.500, 0.000, 0.500], [0.500, 0.500, 0.305], [0.500, 0.500, 0.695], [0.000, 0.000, 0.000]]}

---

Record 7
~~~
Shane- He is really busy with work. His efforts to get a branch opened in Arizona has finally paid off. We are excited to report that it will open in Feb. He also was called to be the Scout committee chair in our new ward. Yes I did laugh about this until I cried. For all of you who know Shane, he is NOT a camper! I just really found humor in this calling. He will do a fine job. The kids keep us really busy and Shane is such a great dad and husband!
Shelby- She is busy with school and Young Womens. Shelby has made some good friends at school and she is getting A's & B's. She is really doing an awesome job at school! She loves YW and enjoys going to activities every week. She will be starting soccer soon and is looking forward to that.
Conner- He is in the fourth grade and enjoys school alot. He also enjoys playing football in the house with Shane. He is such a good big brother and loves to play with the kids. Conner & Carson love to get on the computer and play star wars together. Conner is also involved with scouts and loves doing that as well. Kara- She is in the First grade. She really enjoys school. Her teacher tells me that she is the best student in the class. She also loves to play with her sister Mallory. They play school, church, and baby dolls alot. Kara is so sweet and we have so much fun having her in our family. Carson- Well, Carson! He is really into Lego's, Star Wars, & Star Wars! Anything that Conner does Carson Does! He sometimes gets bored with mom at home, but he is such a good boy! The other night I sent him to brush his teeth and he used BenGay instead of toothpaste. Boy that was fun! What a crazy time! Anyways, he is so fun and sweet!Mallory- Well the baby of the family for about another month. She is at such a fun age. She loves to color, play with her new baby "Abby". And she really likes to tell Carson what to do! She cannot say the word "Carson" so she started calling him "Buddy" it is so cute to hear her say that. She is at such a fun age! She loves to explore, play with her toys, and most of all she loves to READ! ALL THE TIME!!! Me- Well, not a whole lot going on with mom. Just being really pregnant and tired. Trying to keep up on housework, homework, and laundry. Not much else to say other than I would love to get a personal cook, toilet cleaner, and laundry lady for Christmas! I guess I better not get my hopes up too high!!!We hope and
pray that this Christmas Season will find your families full of
Love, Happiness, Hope, & Peace. May we all remember our
Savior this Season and all year through. He has given us so much to be
grateful for. We have a wonderful
Family, & Great
Friends. We wish you the very
best this Christmas Season and through the next year.
Love, The Randall Family
Shane, Becky, Shelby, Conner, Kara, Carson, & Mallory